Thursday, February 14, 2013

Next to the piece, the page also holds materials data:
********
[1]
DFT (GGA-PBEsol) results for an optimized crystal structure of Ba2YAs.

Values from the calculation:
Space-group type: No. 99
Volume (Å³/atom): 37.173
Total magnetic moment (μB/f.u.): 0.577
Final energy (eV per atom): -4.60

a b c (Å): 3.9217 3.9217 9.6681
angles (deg): 90.00 90.00 90.00
Atoms (fractional coordinates):
Y  0.0000  0.0000  0.5916
As  0.5000  0.5000  0.6777
Ba  0.0000  0.0000  0.9301
Ba  0.5000  0.5000  0.3006

***

[2]
DFT (GGA-PBEsol) results for an optimized crystal structure of Ba2YAs.

Values from the calculation:
Space-group type: No. 166
Volume (Å³/atom): 43.091
Total magnetic moment (μB/f.u.): 2.098
Final energy (eV per atom): -4.27

a b c (Å): 4.3459 4.3459 10.8328
angles (deg): 78.43 78.43 60.00
Atoms (fractional coordinates):
Y  0.5000  0.5000  0.5000
As  0.0000  0.0000  0.0000
Ba  0.2740  0.2740  0.1779
Ba  0.7260  0.7260  0.8221

***

[3]
DFT (GGA-PBEsol) results for an optimized crystal structure of Ba2ZnAs.

Values from the calculation:
Space-group type: No. 38
Volume (Å³/atom): 32.110
Total magnetic moment (μB/f.u.): 0.377
Final energy (eV per atom): -3.39

a b c (Å): 4.4619 4.7394 6.5196
angles (deg): 111.31 90.01 90.00
Atoms (fractional coordinates):
As  0.8752  0.6920  0.3841
Ba  0.8748  0.9851  0.9702
Ba  0.3753  0.2639  0.5279
Zn  0.3748  0.5589  0.1178

***

[4]
DFT (GGA-PBEsol) results for an optimized crystal structure of BaZn2As.

Values from the calculation:
Space-group type: No. 12
Volume (Å³/atom): 24.047
Total magnetic moment (μB/f.u.): 0.000
Final energy (eV per atom): -2.53

a b c (Å): 3.1297 5.5434 6.3792
angles (deg): 115.41 103.64 91.25
Atoms (fractional coordinates):
As  0.0000  0.5000  0.0000
Ba  0.5000  0.0000  0.0000
Zn  0.5000  0.5000  0.5000
Zn  0.0000  0.0000  0.5000

***

[5]
DFT (GGA-PBEsol) results for an optimized crystal structure of BaZn2As2.

Values from the calculation:
Space-group type: No. 139
Volume (Å³/atom): 22.356
Total magnetic moment (μB/f.u.): 0.000
Final energy (eV per atom): -3.75

a b c (Å): 4.0919 4.0919 7.2762
angles (deg): 106.33 106.33 90.00
Atoms (fractional coordinates):
Zn  0.2500  0.7500  0.5000
Zn  0.7500  0.2500  0.5000
As  0.3646  0.3646  0.7292
As  0.6354  0.6354  0.2708
Ba  0.0000  0.0000  0.0000

***

[6]
DFT (GGA-PBEsol) results for an optimized crystal structure of BaZn2As2.

Values from the calculation:
Space-group type: No. 62
Volume (Å³/atom): 22.610
Total magnetic moment (μB/f.u.): 0.000
Final energy (eV per atom): -3.78

a b c (Å): 4.2230 9.8978 10.8187
angles (deg): 90.00 90.00 90.00
Atoms (fractional coordinates):
Ba  0.7500  0.2534  0.3255
Ba  0.2500  0.7466  0.6745
Ba  0.7500  0.7534  0.1745
Ba  0.2500  0.2466  0.8255
Zn  0.2500  0.5979  0.9512
Zn  0.7500  0.4021  0.0488
Zn  0.7500  0.9021  0.4512
Zn  0.2500  0.0979  0.5488
Zn  0.2500  0.0490  0.1182
Zn  0.7500  0.9510  0.8818
Zn  0.2500  0.5490  0.3818
Zn  0.7500  0.4510  0.6182
As  0.2500  0.3509  0.5392
As  0.7500  0.6491  0.4608
As  0.7500  0.1491  0.0392
As  0.2500  0.8509  0.9608
********

Valentine's Day Is Upon Us!

Good morning!

It's not too late! You still have plenty of valuable daylight hours to make a fond remembrance of this holiday to your loved one. I think Matthew and I are going to spend it eating Indian food and cussing about stuff we don't like, rather than eating fondue and blowing bubbles at each other, but you know what? I would not have it any other way! He's a great mate. :) Viva Valentine's!


Most of my memorable moments of Valentine's Day come from elementary school. Not to say that I have not had my share of thoughtful gentlemen callers, with mixtapes and chocolates in hand-- but something about those pre-romance days of the holiday really stick in my mind! Like in kindergarten when my mother and I spent half the night of the 13th making a hub-cap sized valentine for my teacher, Mrs. P. The top of a Reebok sneaker box's cardboard served as the base, and much red tissue paper and doilies and glitter as the trimmings...I remember marching into the classroom that February morn, 1991, presenting the card with suitable flourish, muttering almost accusitorily, "MymomsaidIhavetogivethistoyou", and running back out into the hallway, like the feral cat I was. Recounting this to my mom afterschool, she was more than a little crestfallen that my opening line had undermined the work and determination that had gone into constructing the card itself, but, ah, well. My teacher that year was totally evil! She made me afraid to give her a Valentine!

I also remember a second grade Valentine's box, yet another shoebox (shoe box and V-Day are inextricable in my mind), this time decorated in Muppets stickers and my name in gooey, half-dried, caterpillar thick letters just below the slot. I wish I still had it! I have never been prouder of anything I brought to school in my life (except possibly an Ariel doll that had a detachable mermaid costume for show and tell). I remember Jurassic Park Valentines (see here) were the big thing that year, as the hype machine towards its summer blockbuster release was in full effect that spring, and dang, they were neat! I wish I still had those Valentines, too! I can't wait til I have kiddlings and we have to make those shoeboxes. By then, it'll probably be e-cards and I'll have to have their dad work on the best looking template for their inbox, but we will roll with the 21st century punches!

The school Valentine's dance in fifth grade is also the direct link to why, in any conceivable version of reality, I know all the moves to the Macarena. When I say I went to grade school in the nineties', I re-e-e-e-e-ally went to grade school in the nineties'!


I used to hate this late Victorian, early Edwardian phase of candybox Valentine's art. Blame it on that weird, early to mid 90's thing where you could buy semi-kind-of-sort-of-like 1910's jewelry, and you could wear sort-of-kind-of-crochet-and-lace version of floor sweeping Victorian soured me on the whole concept. But you know, at my advanced age, I have completely turned a corner. Something about the diabetic-coma-inducing sugariness and the gorgeous lithographed colors of these postcards makes me want to run out and believe in true romance. Or at least re-read some Edith Wharton (and skip the last pages! AND SKIP THE LAST PAGES, PRETEND THEY JUST ENDED UP GETTING TOGETHER, FOR THE LOVE OF THE LORD). Look at this mustachioed man and his Gibson Girl in a lover's embrace! I was like, oh, how cute is this...and then I looked at the position of the man's left hand, and wondered if I shouldn't be a little offended, even in 2013. Discretion is the better part of valor, gentlemen!

This cupid needs to ask for some shorts for Valentine's day. Poor little guy! I do like his poem and his heart shaped lute, but the absence of clothes is really adding an unwanted undercurrent of eekiness to this. I swear I'm not just looking to pick a fight, get this kid some clothes!

Now, if only hearts really DID grow on trees. Look at the cupids making an orchard harvest out of this year's crop, the fruit of the cardiac tree! Careful, cupid, don't drop one!

I'm in love with 1900's-1920's comic strips, and these little cuties remind me of someone who would turn up in one (remember that picture of Buster Brown on Valentine's that I shared with you 1,000,000 years ago BC? BB, take note! This is how you do courtship without the creepiness!). Also, I would wear that dress in an adult size, now, now, NOW. 

Last but not least, a pair of sparrows delivering hearts the consistency of chiclets to the sea. Not sure what's going on here...still love it.
So! What are you doing for Valentine's? Even if you're not hitched up, I hope you at least treat yourself to some heartshaped candy or a Thin Man movie or two (my favorite single activity ever-- because whose company should you enjoy better than your own, plus or minus some sugar overload and some snappy 30's movie dialogue?). Can you remember your worst or your best elementary school Valentine's day? What's the worst or best present you ever got from a well-meaning beau or belle on the big holiday? DO TELL.

That's it for today...see you guys tomorrow for Photo Friday!


  1. I love this trip down memory lane! I remember having the biggest crush on this boy in 5th grade and carefully deciding which Aladdin valentine would be his. I opted for one with Abu the monkey that said, "I'm bananas about you!" Hoping that he would get the message that we clearly belonged together. He never did. Also I equate all my young vdays with the smell of big red gum bc that was my signature move- putting one stick of big red in easch of my classmates valentines. To this day anytime I smell cinnamon altoids

    1. TOTALLY. I can still remember hoping some poor little 10 year old boy would psychically get the message from my card selection that I completely loved him (um, because he had really cool sneakers, or he let me borrow his eraser that was shaped like a know, the things that make you realize you're totally compatible). Young love!

  2. I remember two specific things from Valentines as a wee little chickpea in little people land. One, of course, involves a shoe box! It must have been around 2nd grade. I had the most glorious V box in the class! It was ecrusted with layer upon layer of doilies, heart stickers, red glitter...and I mean the REAL glitter, all chunky and square-like!! Mounds of it!! I'd kill cupid himself to have that beauty back in my hot little hands! It was a true masterpiece of 7 year old proportions!
    The other was about a year or so later, when it snowed and we got out of class early. I remember waiting with some of my friends at the door of the school for our rides. My mom had made and sent with me tons of pink tinted white chocolate suckers for the class party that day. Since we'd gotten out early, the class V Day party hadn't gotten underway. So my friends and I...there were about four of us...commenced to gorge ourselves on as many as we could before the grown ups showed up and wouldn't let us eat anymore! God, I can still taste them!

    1. I can't even imagine putting away candy like I used to back then...but gee, wouldn't I like to! That's so cute about you and your little co-conspirators eating as many of those (OMG DELICIOUS) white chocolate suckers. I'm making a V-day box last year, I've decided it's the thing I am most nostalgic about from those years!

  3. I loved reading your little kid memories - and those of the other ladies too! Wow...why don't I have any little kid Valentine's Day memories? Maybe I AM a robot! I also love these old timey Valentines. So much better than the crap of today, if you ask me. I can't think of any better way to spend the day than to have Indian food. You two have a great Valentine's Day. I do admit to getting a little misty eyed when you talked about Matthew as the father of your high haired babies. : )

    1. Me too! I'm so glad I'm not the only weirdo who remembers every little bizarre moment of elementary school, I actually think it would be healthier if I didn't (see: knowledge of the Macarena). The first valentine I posted is probably my favorite-- how vivid are those colors? And, oh, the high haired little progeny we're going to beget upon this earth. Look out, world! Hope you and the Mister and your new little foster pup had fun, too!

  4. So many things I want to tell you: 1) I, too, had a shoebox valentine "mailbox;" 2) I was in elementary school in the 90s, as well--started to Kindergarten in 1991; 3) I had an Ariel Barbie with a removable tail/sheath thingy; 4) Watching The Thin Man (and its sequels) is a top-notch recommendation; 5) damn you for getting The Macarena stuck in my head and 6) I love your advice on Edith Wharton.

    1. Hahaha, I think we were born under the same eighties' star, Miss Lauren!

  5. I do enjoy heart-shaped candy and Thin Man movies. Valentine's day is the best this year, because my daughter is 5. And when you are 5, Valentine's day is the most awesome day, ever. We made Valentine's cards for every kid in her preschool class and she loved it...and today was her class party and she dressed up in pink and red and just had a ball. It is so fun to watch. Happy Valentine's Day to you!

    1. That is so sweet! God, I remember how hype I got about holidays in elementary school...I mean, I still do, but not in that coming-apart-at-the-atoms, can't-wait-to-see-what-kind-of-cookies-everyone-else-brings-in way. Bid time return! I love that she dressed up in pink and red for the big class party, I bet she was a doll! Happy V DAY!

  6. i looooooved making my valentine box every year. and i think i had those jurassic park valentines! i was so excited to see it, then TERRIFIED through the whole thing when i finally saw it! i can remember hiding my head behind my dads shoulder during the whole movie. also, my cousin and i were obsessed with the macarena and especially loved doing it really fast along to the tiki room song on some disney tape we had? that song is now one of my karaoke favorites.
    i had to close at work (2 to 10 pm) so travis got woodlands takeout and came and hand dinner with me on my break. pretty sweet. for our "real" date we're going to pootie tang at midnight at the belcourt! haha.
